Thursday, September 24, 2009

Changes in our Kitchen!

For the past few months I have been convinced through different things I am learning that our eating, though seemingly pretty healthy, needed a great overhaul. Honestly with all I have had going on in my life over the past two years - two international adoptions and they ensuing bonding and transition issues, a father who relied on me for transportation and attendance at all of his doctors appointments and then his final illness and death this summer and my severe back pain which made me almost unable to stand for more than 30 minutes - I was a bit overwhelmed. Add to that being overweight and not having much strength or energy.
Well, things are changing for me and with those changes I am feeling more energy, clearer thinking and a desire to overhaul our eating once again.
My preschoolers are now in preschool two mornings a week which gives me just enough free time to feel like I am getting a little break. I finally got a diagnosis for my back and some real help from active physical therapy. I basically got to work out with a personal trainer all summer and get an exercise routine that has helped me sooo much!
Last year while we were waiting for AJ I felt led to really concentrate on loosing weight. There is a whole story behind that and God really did a supernatural thing in my life which we later realized was necessary for our adoption - but that is another story. One of the things that I felt led to do at the time was to go off of all wheat. I really believe it was a key. Over time I began eating wheat products again and gained back almost all the weight I had lost.
I have been trying for a few weeks to get myself psyched up again to get off wheat - I have always been a bread and pasta person and at first could not imagine giving them up but did it last year so knew I could.
About two weeks ago I went off wheat again. The transformation has been amazing. I have been virtually pain free with my back, I am not retaining water (by evening my ankles would be so swollen it was really scaring me) I have dropped 6 pounds (probably a lot of water - but can feel the difference) I am not feeling bloated. I was diagnosed with a spastic colon when I was young - do not have issues related to that when I am not eating wheat. I am feeling much more energy - last week I actually cleaned both bathrooms thoroughly and then the next day spot scrubbed my carpet and had no ensuing back pain. This is amazing - I have not been able to clean my house much at all because of pain. I am thinking more clearly and more positively. I feel like I can think through these changes I need to make.
There is a lot of research out there about wheat and it's affects on our body. A lot of it has to do with the way it is processed and prepared and I am not going to expound on it because I don't understand it all yet but if you are having any of the above symptoms and cannot find answers I would encourage you to check it out.
I am not sure anyone is even checking my blog anymore but I am going to write some more about this and how we are eating now and the changes we are making. It will still be a process and learning new things all the time.
What I used to think was healthy has changed - drastically! I am excited to see what develops over the next few weeks and months. I will be posting some links to some great blogs and sites with more information - so stay tuned if you are interested :-)

........
Entry from the Materials Project: a relaxed structure of PrB12 (PBE-GGA).

a = 5.3707 Å, b = 5.3707 Å, c = 5.3707 Å
α = 60.00°, β = 60.00°, γ = 60.00°
Fractional positions:
B (0.1634, 0.5000, 0.8366)
B (0.8366, 0.1634, 0.5000)
B (0.8366, 0.5000, 0.1634)
B (0.5000, 0.5000, 0.1634)
B (0.5000, 0.8366, 0.5000)
B (0.8366, 0.5000, 0.5000)
Pr (0.0000, 0.0000, 0.0000)
B (0.5000, 0.1634, 0.5000)
B (0.1634, 0.8366, 0.5000)
B (0.5000, 0.1634, 0.8366)
B (0.5000, 0.8366, 0.1634)
B (0.5000, 0.5000, 0.8366)
B (0.1634, 0.5000, 0.5000)

Values from the calculation:
Raw total energy ... -6.724 eV/atom
Space group ... Fm-3m
Formation energy ... -0.191 eV/atom

----------

Record 1
# MgPaAu2 (PBE, relaxed)
data_MgPaAu2
_symmetry_space_group_name_H-M 'F m -3 m'
_symmetry_Int_Tables_number 225
_symmetry_space_group_name_Hall '-F 4 2 3'
_cell_length_a 6.993
_cell_length_b 6.993
_cell_length_c 6.993
_cell_angle_alpha 90.00
_cell_angle_beta 90.00
_cell_angle_gamma 90.00
loop_
_atom_site_label
_atom_site_fract_x
_atom_site_fract_y
_atom_site_fract_z
_atom_site_occupancy
Mg1 0.000 0.000 0.000 1
Pa1 0.000 0.000 0.500 1
Au1 0.250 0.250 0.250 1
# **Formation energy**: -0.44 eV per atom
# **Volume**: 21.37 Å³ per atom

***

Record 2
# Ba8Fe3N8 (PBE, relaxed)
data_Ba8Fe3N8
_symmetry_space_group_name_H-M 'C 1 2/m 1'
_symmetry_Int_Tables_number 12
_cell_length_a 19.761
_cell_length_b 5.710
_cell_length_c 7.912
_cell_angle_alpha 90.00
_cell_angle_beta 106.07
_cell_angle_gamma 90.00
loop_
_symmetry_equiv_pos_as_xyz
'x,y,z'
'-x,-y,-z'
'-x,y,-z'
'x,-y,z'
'x+1/2,y+1/2,z'
'-x+1/2,-y+1/2,-z'
'-x+1/2,y+1/2,-z'
'x+1/2,-y+1/2,z'
loop_
_atom_site_label
_atom_site_fract_x
_atom_site_fract_y
_atom_site_fract_z
_atom_site_occupancy
Ba1 0.028 0.000 0.269 1
Ba2 0.102 0.500 0.948 1
Ba3 0.168 0.500 0.472 1
Ba4 0.203 0.000 0.805 1
Fe1 0.000 0.500 0.500 1
Fe2 0.186 0.000 0.200 1
N1 0.021 0.500 0.302 1
N2 0.109 0.000 0.021 1
N3 0.179 0.000 0.413 1
N4 0.230 0.500 0.835 1
# **E (MP2020)**: -6.30 eV/atom
# **Formation energy**: -0.65 eV per atom
# **Volume**: 22.58 Å³ per atom

***

Record 3
# UAs (PBE, relaxed)
data_UAs
_symmetry_space_group_name_H-M 'P m -3 m'
_symmetry_Int_Tables_number 221
_symmetry_space_group_name_Hall '-P 4 2 3'
_cell_length_a 3.506
_cell_length_b 3.506
_cell_length_c 3.506
_cell_angle_alpha 90.00
_cell_angle_beta 90.00
_cell_angle_gamma 90.00
loop_
_atom_site_label
_atom_site_fract_x
_atom_site_fract_y
_atom_site_fract_z
_atom_site_occupancy
U1 0.000 0.000 0.000 1
As1 0.500 0.500 0.500 1
# **Formation energy**: -0.59 eV per atom
# **Volume**: 21.55 Å³ per atom

***

Record 4
# IrC2 (PBE, relaxed)
data_IrC2
_symmetry_space_group_name_H-M 'I 4/m m m'
_symmetry_Int_Tables_number 139
_symmetry_space_group_name_Hall '-I 4 2'
_cell_length_a 3.432
_cell_length_b 3.432
_cell_length_c 5.388
_cell_angle_alpha 90.00
_cell_angle_beta 90.00
_cell_angle_gamma 90.00
loop_
_atom_site_label
_atom_site_fract_x
_atom_site_fract_y
_atom_site_fract_z
_atom_site_occupancy
Ir1 0.000 0.000 0.000 1
........


Anonymous said...

**The page is interrupted by materials data**
Record 1
## K5HC2N4 (r²SCAN)

Data for a relaxed structure of K5HC2N4.

Calculated values
VASP energy in eV per cell: -386.9
Symmetry: No. 130
Spin magnetization in μB/atom: 0.0000
ΔE_f in eV per atom: -0.564

extended XYZ file:
```
48
Lattice="9.0506 0.0000 0.0000 0.0000 9.0506 0.0000 0.0000 0.0000 11.0101" Properties=species:S:1:pos:R:3 pbc="T T T"
K 0.9418 1.8568 6.6222
K 0.0000 4.5253 3.8433
C 3.1938 3.1938 8.2575
K 6.3822 5.4671 1.1172
H 0.0000 4.5253 1.0857
H 4.5253 0.0000 4.4194
N 0.8951 1.7606 3.8293
K 5.4671 2.6685 9.8929
K 2.6685 3.5836 1.1172
N 5.4204 2.7648 1.6757
N 5.4204 6.2859 7.1808
N 2.7648 3.6303 9.3343
H 0.0000 4.5253 6.5907
N 7.2901 0.8951 7.1808
K 8.1089 1.8568 1.1172
N 1.7606 0.8951 1.6757
C 1.3315 7.7192 8.2575
K 6.3822 3.5836 6.6222
H 4.5253 0.0000 9.9244
K 0.0000 4.5253 9.3484
K 7.1938 8.1089 9.8929
C 1.3315 1.3315 2.7525
N 1.7606 8.1556 7.1808
K 2.6685 5.4671 6.6222
N 8.1556 7.2901 3.8293
K 3.5836 2.6685 4.3879
K 4.5253 0.0000 1.6617
N 2.7648 5.4204 3.8293
C 7.7192 1.3315 8.2575
C 3.1938 5.8568 2.7525
N 8.1556 1.7606 9.3343
N 6.2859 5.4204 9.3343
C 5.8568 3.1938 2.7525
N 0.8951 7.2901 9.3343
K 5.4671 6.3822 4.3879
K 0.9418 7.1938 1.1172
C 7.7192 7.7192 2.7525
K 1.8568 0.9418 9.8929
C 5.8568 5.8568 8.2575
N 3.6303 6.2859 1.6757
N 3.6303 2.7648 7.1808
N 7.2901 8.1556 1.6757
K 7.1938 0.9418 4.3879
K 4.5253 0.0000 7.1667
K 1.8568 8.1089 4.3879
N 6.2859 3.6303 3.8293
K 3.5836 6.3822 9.8929
K 8.1089 7.1938 6.6222
```



Record 2
## KH3CN2O (r²SCAN)

Data for a relaxed structure of KH3CN2O.

Calculated values
VASP energy in eV per cell: -450.2
Symmetry: No. 61
Spin magnetization in μB/atom: 0.0000
ΔE_f in eV per atom: -0.715

extended XYZ file:
```
64
Lattice="7.0998 0.0000 0.0000 0.0000 7.2177 0.0000 0.0000 0.0000 13.4272" Properties=species:S:1:pos:R:3 pbc="T T T"
H 0.7407 2.9368 7.3001
H 1.9704 1.7411 7.1188
N 5.0470 2.2689 8.8247
N 4.6174 1.5100 6.6133
C 0.7821 2.0471 5.4564
H 1.9704 1.8678 0.4052
O 6.8246 2.6978 5.0811
C 6.3177 5.6559 1.2572
H 4.2906 0.6720 6.1271
N 5.0470 1.3400 2.1111
O 3.2747 2.6978 1.6325
N 1.0675 1.5100 0.1003
H 4.2906 2.9368 12.8407
N 2.0529 4.9489 4.6025
H 4.8182 6.3076 8.3350
C 0.7821 1.5618 12.1700
N 2.4824 5.1188 0.1003
O 0.2752 6.3066 1.6325
N 2.4824 5.7078 6.8139
N 1.4971 2.2689 11.3161
H 2.2816 0.9102 5.0922
N 5.6028 4.9489 2.1111
H 5.5203 1.7411 13.0220
N 1.4971 1.3400 4.6025
H 6.3592 6.5457 12.8407
N 5.6028 5.8777 8.8247
O 6.8246 0.9111 11.7947
N 4.6174 2.0989 13.3269
H 1.5795 5.4766 0.4052
H 5.1294 5.3500 13.0220
N 6.0323 5.7078 13.3269
H 1.5795 5.3500 7.1188
C 4.3320 1.5618 7.9708
O 0.2752 4.5199 8.3461
C 6.3177 5.1706 7.9708
K 0.7703 3.2626 2.6012
K 2.7796 6.8714 2.6012
H 6.3592 4.2809 6.1271
H 5.8315 2.6987 8.3350
K 6.3296 3.9552 10.8260
H 2.8093 6.5457 7.3001
H 2.8093 4.2809 0.5865
K 2.7796 3.9552 9.3148
C 2.7678 5.1706 12.1700
K 4.3202 3.2626 4.1124
O 3.8251 6.3066 5.0811
N 2.0529 5.8777 11.3161
H 5.8315 0.9102 1.6214
C 4.3320 2.0471 1.2572
H 5.5203 1.8678 6.3084

Fun reading this and seeing so many positive changes! :)